Live, 13/01/2025 10:00 AM GMT, Click here to bid
Lots: 332
Starts Ending 13/01/2025 10:00 AM GMT
Timed, 10/01/2025 5:00 PM GMT - 14/01/2025 1:12 PM GMT, Click here to bid
Lots: 193
Starts Ending 14/01/2025 10:00 AM GMT
Timed, 10/01/2025 5:00 PM GMT - 14/01/2025 5:53 PM GMT, Click here to bid
Lots: 474
Live, 28/11/2024 12:00 AM GMT, Upcoming
(Records of crystals that have nothing to do with the article)
'''
1.
# NbAlReNi

A relaxed structure of NbAlReNi (GGA-PBE, Alexandria).

Properties
- space-group type = F-43m, No. 216
- energy of formation from the pure elements (kJ/mol of formula units) = -95

CIF file:
```
data_NbAlReNi
_cell_length_a 4.374
_cell_length_b 4.374
_cell_length_c 4.374
_cell_angle_alpha 60.00
_cell_angle_beta 60.00
_cell_angle_gamma 60.00
_space_group_name_H-M_alt 'P 1'
_space_group_IT_number 1
loop_
_space_group_symop_operation_xyz
'x,y,z'
loop_
_atom_site_label
_atom_site_type_symbol
_atom_site_fract_x
_atom_site_fract_y
_atom_site_fract_z
Re1 Re 0.750 0.750 0.750
Nb1 Nb 0.500 0.500 0.500
Al1 Al 0.000 0.000 0.000
Ni1 Ni 0.250 0.250 0.250
```

2.
# Nb2AlNiSb

A relaxed structure of Nb2AlNiSb (GGA-PBE, Alexandria).

Properties
- energy relative to the elements, uncorrected (eV/atom) = 1.17
- space-group type = P4/mmm, No. 123

CIF file:
```
data_Nb2AlNiSb
_cell_length_a 5.084
_cell_length_b 4.492
_cell_length_c 5.084
_cell_angle_alpha 90.00
_cell_angle_beta 90.00
_cell_angle_gamma 90.00
_space_group_name_H-M_alt 'P 1'
_space_group_IT_number 1
loop_
_space_group_symop_operation_xyz
'x,y,z'
loop_
_atom_site_label
_atom_site_type_symbol
_atom_site_fract_x
_atom_site_fract_y
_atom_site_fract_z
Sb1 Sb 0.000 0.000 0.000
Nb1 Nb 0.000 0.000 0.500
Nb2 Nb 0.500 0.000 0.000
Al1 Al 0.500 0.500 0.500
Ni1 Ni 0.000 0.500 0.000
```

3.
# Sc2NbAl2Ni5

A relaxed structure of Sc2NbAl2Ni5 (GGA-PBE, Alexandria).

Properties
- space-group type = P4/mbm, No. 127
- energy of formation from the pure elements (kJ/mol of formula units) = -394

CIF file:
```
data_Sc2NbAl2Ni5
_cell_length_a 3.359
_cell_length_b 9.356
_cell_length_c 9.356
_cell_angle_alpha 90.00
_cell_angle_beta 90.00
_cell_angle_gamma 90.00
_space_group_name_H-M_alt 'P 1'
_space_group_IT_number 1
loop_
_space_group_symop_operation_xyz
'x,y,z'
loop_
_atom_site_label
_atom_site_type_symbol
_atom_site_fract_x
_atom_site_fract_y
_atom_site_fract_z
Sc1 Sc 0.000 0.674 0.174
Sc2 Sc 0.000 0.326 0.826
Sc3 Sc 0.000 0.174 0.326
Sc4 Sc 0.000 0.826 0.674
Nb1 Nb 0.000 0.000 0.000
Nb2 Nb 0.000 0.500 0.500
Al1 Al 0.000 0.124 0.624
Al2 Al 0.000 0.876 0.376
Al3 Al 0.000 0.624 0.876
Al4 Al 0.000 0.376 0.124
Ni1 Ni 0.500 0.202 0.051
Ni2 Ni 0.500 0.798 0.949
Ni3 Ni 0.500 0.051 0.798
Ni4 Ni 0.500 0.702 0.449
Ni5 Ni 0.500 0.949 0.202
Ni6 Ni 0.500 0.298 0.551
Ni7 Ni 0.500 0.551 0.702
Ni8 Ni 0.500 0.449 0.298
Ni9 Ni 0.500 0.500 0.000
Ni10 Ni 0.500 0.000 0.500
```

4.
# ScNbAl2Ni

A relaxed structure of ScNbAl2Ni (GGA-PBE, Alexandria).

Properties
- space-group type = P4/mmm, No. 123
- energy of formation from the pure elements (kJ/mol of formula units) = 534

CIF file:
```
data_ScNbAl2Ni
_cell_length_a 4.867
_cell_length_b 4.182
_cell_length_c 4.867
_cell_angle_alpha 90.00
_cell_angle_beta 90.00
_cell_angle_gamma 90.00
_space_group_name_H-M_alt 'P 1'
_space_group_IT_number 1
loop_
_space_group_symop_operation_xyz
'x,y,z'
loop_
_atom_site_label
_atom_site_type_symbol
_atom_site_fract_x
_atom_site_fract_y
'''
Lots: 684
Starts Ending 28/11/2024 12:00 AM GMT
Timed, 22/01/2025 10:00 AM GMT - 29/01/2025 1:03 PM GMT, Upcoming
Lots: 184
Starts Ending 29/01/2025 10:00 AM GMT
Live, 13/01/2025 9:30 AM GMT, Auction closed
Lots: 302
Starts Ending 13/01/2025 9:30 AM GMT
Live, 13/01/2025 9:00 AM GMT, Auction closed
Lots: 167
Starts Ending 13/01/2025 9:00 AM GMT
Live, 21/10/2022 12:00 AM BST, Auction closed
Lots: 893
Starts Ending 21/10/2022 12:00 AM BST
Live, 23/07/2022 10:00 AM BST, Auction closed
Lots: 209
Starts Ending 23/07/2022 10:00 AM BST
Live, 23/07/2022 9:00 AM BST, Auction closed
Lots: 414
Starts Ending 23/07/2022 9:00 AM BST
Live, 23/07/2022 8:59 AM BST, Auction closed
Lots: 334
Starts Ending 23/07/2022 8:59 AM BST
Live, 22/07/2022 9:00 AM BST, Auction closed
Lots: 319
Starts Ending 22/07/2022 9:00 AM BST
Live, 01/06/2022 12:00 AM BST, Auction closed
Lots: 2739
Starts Ending 01/06/2022 12:00 AM BST
Live, 23/04/2022 10:00 AM BST, Auction closed
Lots: 296
Starts Ending 23/04/2022 10:00 AM BST
Live, 23/04/2022 9:00 AM BST, Auction closed
Lots: 537
Starts Ending 23/04/2022 9:00 AM BST
Live, 22/04/2022 9:00 AM BST, Auction closed
Lots: 772
Starts Ending 22/04/2022 9:00 AM BST
Timed, 31/10/2021 12:00 AM BST - 15/11/2021 4:49 PM GMT, Auction closed
Lots: 109
Starts Ending 15/11/2021 4:49 PM GMT
Timed, 31/10/2021 1:00 AM GMT - 15/11/2021 3:23 PM GMT, Auction closed
Lots: 24
Starts Ending 15/11/2021 3:23 PM GMT
Live, 28/10/2021 1:00 AM BST, Auction closed
Lots: 1485
Starts Ending 28/10/2021 1:00 AM BST
Timed, 23/07/2021 9:00 AM BST - 27/07/2021 5:59 PM BST, Auction closed
Lots: 360
Starts Ending 27/07/2021 5:59 PM BST
Live, 27/07/2021 11:47 AM BST, Auction closed
Lots: 1377
Starts Ending 27/07/2021 11:47 AM BST
Live, 24/07/2021 10:00 AM BST, Auction closed
Lots: 153
Starts Ending 24/07/2021 10:00 AM BST
Timed, 22/10/2020 10:00 AM BST - 28/10/2020 7:03 PM GMT, Auction closed
Lots: 543
Starts Ending 28/10/2020 7:03 PM GMT
Timed, 22/10/2020 9:59 AM BST - 27/10/2020 5:25 PM GMT, Auction closed
Lots: 446
Starts Ending 27/10/2020 5:25 PM GMT
Timed, 22/10/2020 9:58 AM BST - 26/10/2020 4:55 PM GMT, Auction closed
Lots: 416
Starts Ending 26/10/2020 4:55 PM GMT
Live, 24/10/2020 1:00 PM CEST, Auction closed
Lots: 37
Starts Ending 24/10/2020 1:00 PM CEST
Live, 24/10/2020 12:00 PM CEST, Auction closed
Lots: 215
Starts Ending 24/10/2020 12:00 PM CEST
Timed, 07/07/2020 1:00 AM CEST - 22/07/2020 3:42 PM CEST, Auction closed
Lots: 223
Starts Ending 22/07/2020 3:42 PM CEST
Timed, 10/07/2020 1:00 AM CEST - 21/07/2020 7:23 PM CEST, Auction closed
Lots: 444
Starts Ending 21/07/2020 7:23 PM CEST
Timed, 02/07/2020 4:54 PM CEST - 21/07/2020 5:18 PM CEST, Auction closed
Lots: 314
Starts Ending 21/07/2020 5:18 PM CEST
Timed, 10/07/2020 1:00 AM CEST - 20/07/2020 6:02 PM CEST, Auction closed
Lots: 363
Misplaced materials data:
=====
Entry 1:
A geometry-optimized Nd2ErTe2N2 structure, computed with GGA-PBE.

Computed properties:
**SG**: I4/mmm, No. 139
**Uncorrected formation energy**: -1.242 eV/atom
**Density of states at the Fermi level**: 3.23 states/eV per cell
**Size of the total moment**: 0.0000 μB per atom
**VASP energy**: -6.532 eV/atom

Cell: 4.4058 4.4058 8.7867 Å, 104.52 104.52 90.00°
With the nearest neighbours (Å) after each atom.
Element x y z (fractional)
N1 0.0000 0.5000 0.0000  2 Er 2.20
N2 0.5000 0.0000 0.0000  2 Er 2.20
Nd1 0.3975 0.3975 0.7950  4 N 2.77
Nd2 0.6025 0.6025 0.2050  4 N 2.77
Er1 0.0000 0.0000 0.0000  4 N 2.20
Te1 0.8146 0.8146 0.6291  1 Er 3.05, 4 Nd 3.40
Te2 0.1854 0.1854 0.3709  1 Er 3.05, 4 Nd 3.40

=====

Entry 2:
A geometry-optimized NdEr2ThN4 structure, computed with GGA-PBE.

Computed properties:
**SG**: P2/m, No. 10
**Uncorrected formation energy**: -1.617 eV/atom
**Density of states at the Fermi level**: 1.74 states/eV per cell
**Size of the total moment**: 0.0000 μB per atom
**VASP energy**: -8.443 eV/atom

Cell: 3.5504 6.1361 6.1349 Å, 109.33 90.00 90.00°
With the nearest neighbours (Å) after each atom.
Element x y z (fractional)
N1 0.0000 0.7606 0.2609  3 Er 2.46-2.50, 1 Th 2.51, 2 Nd 2.56
N2 0.5000 0.2479 0.2595  3 Er 2.44-2.49, 2 Th 2.53, 1 Nd 2.56
N3 0.5000 0.7521 0.7405  3 Er 2.44-2.49, 2 Th 2.53, 1 Nd 2.56
N4 0.0000 0.2394 0.7391  3 Er 2.46-2.50, 1 Th 2.51, 2 Nd 2.56
Er1 0.0000 0.5000 0.5000  6 N 2.49-2.50
Er2 0.5000 0.0000 0.5000  6 N 2.44-2.46
Nd1 0.5000 0.5000 0.0000  6 N 2.56
Th1 0.0000 0.0000 0.0000  6 N 2.51-2.53

=====

Entry 3:
A geometry-optimized Nd2ErThN4 structure, computed with GGA-PBE.

Computed properties:
**SG**: P2/m, No. 10
**Uncorrected formation energy**: -1.539 eV/atom
**Density of states at the Fermi level**: 1.78 states/eV per cell
**Size of the total moment**: 0.0000 μB per atom
**VASP energy**: -8.392 eV/atom

Cell: 3.6093 6.2166 6.2503 Å, 109.28 90.00 90.00°
With the nearest neighbours (Å) after each atom.
Element x y z (fractional)
N1 0.5000 0.7556 0.7652  1 Th 2.49, 2 Er 2.50, 3 Nd 2.59-2.61
N2 0.0000 0.2522 0.7645  1 Er 2.48, 2 Th 2.51, 3 Nd 2.60-2.61
N3 0.0000 0.7478 0.2355  1 Er 2.48, 2 Th 2.51, 3 Nd 2.60-2.61
N4 0.5000 0.2444 0.2348  1 Th 2.49, 2 Er 2.50, 3 Nd 2.59-2.61
Nd1 0.0000 0.5000 0.5000  6 N 2.61
Nd2 0.5000 0.0000 0.5000  6 N 2.59-2.60
Er1 0.0000 0.0000 0.0000  6 N 2.48-2.50
Th1 0.5000 0.5000 0.0000  6 N 2.49-2.51

=====

Entry 4:
A geometry-optimized NdEr2TiN4 structure, computed with GGA-PBE.

Computed properties:
**SG**: Cmcm, No. 63
**Uncorrected formation energy**: -1.503 eV/atom
**Density of states at the Fermi level**: 5.48 states/eV per cell
**Size of the total moment**: 0.0000 μB per atom
**VASP energy**: -8.390 eV/atom

Cell: 3.4003 6.1186 11.7858 Å, 90.00 90.00 106.13°
With the nearest neighbours (Å) after each atom.
Element x y z (fractional)
N1 0.4306 0.8611 0.7500  2 Ti 2.04
N2 0.7381 0.4761 0.8779  1 Ti 1.89
N3 0.7381 0.4761 0.6221  1 Ti 1.89
=====
Starts Ending 20/07/2020 6:02 PM CEST
Live, 19/10/2019 11:30 AM CEST, Auction closed
Lots: 251
Starts Ending 19/10/2019 11:30 AM CEST
Live, 19/10/2019 10:30 AM CEST, Auction closed
Lots: 547
Starts Ending 19/10/2019 10:30 AM CEST
Lots: 568
Live, 17/08/2019 12:30 PM BST, Auction closed
Lots: 111
Starts Ending 17/08/2019 12:30 PM BST
Live, 17/08/2019 12:00 PM CEST, Auction closed
Lots: 113
Starts Ending 17/08/2019 12:00 PM CEST
Live, 17/08/2019 10:30 AM BST, Auction closed
Lots: 732
Starts Ending 17/08/2019 10:30 AM BST
Live, 20/07/2019 12:00 PM CEST, Auction closed
Lots: 146
Starts Ending 20/07/2019 12:00 PM CEST
Live, 20/07/2019 11:30 AM CEST, Auction closed
Lots: 312
Starts Ending 20/07/2019 11:30 AM CEST
Live, 27/04/2019 11:00 AM CEST, Auction closed
Lots: 412
Starts Ending 27/04/2019 11:00 AM CEST
Live, 27/04/2019 10:30 AM CEST, Auction closed
Lots: 862
Starts Ending 27/04/2019 10:30 AM CEST
Lots: 745
Lots: 620
### Records of crystals from another source follow
=====
Record 1
DFT (PBE) results for a geometry-optimized ReBPt3 structure.

a b c (Å): 4.204 4.204 4.204
angles (deg): 90.00 90.00 90.00
Positions (direct):
Re (0.000, 0.000, 0.000)
B (0.500, 0.500, 0.500)
Pt (0.000, 0.500, 0.500)
Pt (0.500, 0.000, 0.500)
Pt (0.500, 0.500, 0.000)

Output
energy of formation from the pure elements	527	meV/atom
distance to the lowest polymorph of the same formula	0	meV/atom



Record 2
DFT (PBE) results for a geometry-optimized Re2BPtS structure.

a b c (Å): 4.466 4.466 3.610
angles (deg): 90.00 90.00 90.00
Positions (direct):
Re (0.000, 0.500, 0.000)
Re (0.500, 0.000, 0.000)
B (0.000, 0.000, 0.500)
Pt (0.500, 0.500, 0.500)
S (0.000, 0.000, 0.000)

Output
raw formation energy	1289.9	meV/atom



Record 3
DFT (PBE) results for a geometry-optimized ReSiBPt2 structure.

a b c (Å): 4.088 4.088 4.275
angles (deg): 90.00 90.00 90.00
Positions (direct):
Re (0.000, 0.000, 0.000)
Si (0.500, 0.500, 0.000)
B (0.500, 0.500, 0.500)
Pt (0.000, 0.500, 0.500)
Pt (0.500, 0.000, 0.500)

Output
raw formation energy	657.4	meV/atom



Record 4
DFT (PBE) results for a geometry-optimized BPtRh3 structure.

a b c (Å): 4.088 4.088 4.088
angles (deg): 90.00 90.00 90.00
Positions (direct):
B (0.000, 0.000, 0.000)
Pt (0.500, 0.500, 0.500)
Rh (0.000, 0.000, 0.500)
Rh (0.000, 0.500, 0.000)
Rh (0.500, 0.000, 0.000)

Output
energy of formation from the pure elements	55	meV/atom
distance to the lowest polymorph of the same formula	187	meV/atom



Record 5
DFT (PBE) results for a geometry-optimized BPtRh3 structure.

a b c (Å): 4.783 4.783 4.783
angles (deg): 90.00 90.00 90.00
Positions (direct):
B (0.000, 0.000, 0.000)
Pt (0.500, 0.500, 0.500)
Rh (0.000, 0.500, 0.500)
Rh (0.500, 0.000, 0.500)
Rh (0.500, 0.500, 0.000)

Output
energy of formation from the pure elements	2252	meV/atom
distance to the lowest polymorph of the same formula	2384	meV/atom



Record 6
DFT (PBE) results for a geometry-optimized B2PtRh2 structure.

a b c (Å): 5.411 5.411 5.574
angles (deg): 118.93 118.93 59.59
Positions (direct):
B (0.244, 0.756, 0.500)
B (0.394, 0.890, 0.928)
B (0.756, 0.244, 0.000)
B (0.890, 0.394, 0.428)
Pt (0.318, 0.460, 0.716)
Pt (0.460, 0.318, 0.216)
Rh (0.174, 0.963, 0.214)
Rh (0.675, 0.818, 0.714)
Rh (0.818, 0.675, 0.214)
Rh (0.963, 0.174, 0.714)

Output
energy of formation from the pure elements	-289	meV/atom
distance to the lowest polymorph of the same formula	0	meV/atom



Record 7
DFT (PBE) results for a geometry-optimized B4Pt3Rh2 structure.

a b c (Å): 5.347 5.347 8.004
angles (deg): 125.64 125.64 36.46
Positions (direct):
B (0.123, 0.123, 0.428)
B (0.242, 0.242, 0.170)
B (0.758, 0.758, 0.830)
B (0.877, 0.877, 0.572)
Pt (0.355, 0.355, 0.749)
Pt (0.500, 0.500, 0.500)
Pt (0.645, 0.645, 0.251)
Rh (0.131, 0.131, 0.841)
Rh (0.869, 0.869, 0.159)

Output
energy of formation from the pure elements	-95	meV/atom



Record 8
DFT (PBE) results for a geometry-optimized B2PtRh2 structure.

a b c (Å): 6.373 6.373 2.747
angles (deg): 90.00 90.00 90.00
=====
Live, 20/10/2018 11:00 AM CEST, Auction closed
Lots: 259
Starts Ending 20/10/2018 11:00 AM CEST
Live, 20/10/2018 10:30 AM CEST, Auction closed
Lots: 555
Starts Ending 20/10/2018 10:30 AM CEST
Lots: 438
Live, 18/08/2018 12:00 PM CEST, Auction closed
Lots: 104
Starts Ending 18/08/2018 12:00 PM CEST
Live, 17/08/2018 12:30 PM BST, Auction closed
Lots: 207
Starts Ending 17/08/2018 12:30 PM BST
Live, 17/08/2018 10:00 AM BST, Auction closed
Lots: 636
Starts Ending 17/08/2018 10:00 AM BST